## Request
The reader should count the lines below that contain the word "Entry" and give the number alone.

## Entries
Entry from Materials Project: a relaxed structure of LiGd2Os (PBE).

Cell lengths 4.9358, 4.9358, 4.9358 Å; angles 60.00, 60.00, 60.00 degrees
Closest atoms and distances in Å follow each position.
Positions (direct):
Li: 0.0000 0.0000 0.0000  8 Gd 3.02
Gd: 0.2500 0.2500 0.2500  4 Os 3.02, 4 Li 3.02
Gd: 0.7500 0.7500 0.7500  4 Li 3.02, 4 Os 3.02
Os: 0.5000 0.5000 0.5000  8 Gd 3.02

Summary:
E_tot: -10.510 eV per atom
DFT formation energy: -0.1881 eV/atom

* * * * *

! Li2NiBO4, optimized geometry, DFT GGA+U; values from VASP
! ΔE to the lowest computed polymorph in meV per atom: 0
&SYSTEM
  ibrav = 0, nat = 32, ntyp = 4
/
ATOMIC_SPECIES
Li 6.94 Li.upf
Ni 58.69 Ni.upf
B 10.81 B.upf
O 16.00 O.upf
CELL_PARAMETERS angstrom
10.058 0.000 0.000
0.000 6.101 0.000
0.000 0.000 4.752
ATOMIC_POSITIONS crystal
Li 0.077 0.239 0.000
Li 0.160 0.994 0.503
Li 0.340 0.494 0.003
Li 0.423 0.739 0.500
Li 0.577 0.261 0.000
Li 0.660 0.506 0.503
Li 0.840 0.006 0.003
Li 0.923 0.761 0.500
Ni 0.162 0.484 0.506
Ni 0.338 0.984 0.006
Ni 0.662 0.016 0.506
Ni 0.838 0.516 0.006
B 0.091 0.739 0.010
B 0.409 0.239 0.510
B 0.591 0.761 0.010
B 0.909 0.261 0.510
O 0.051 0.249 0.419
O 0.100 0.732 0.323
O 0.156 0.539 0.896
O 0.159 0.944 0.911
O 0.341 0.444 0.411
O 0.344 0.039 0.396
O 0.400 0.232 0.823
O 0.449 0.749 0.919
O 0.551 0.251 0.419
O 0.600 0.768 0.323
O 0.656 0.961 0.896
O 0.659 0.556 0.911
O 0.841 0.056 0.411
O 0.844 0.461 0.396
O 0.900 0.268 0.823
O 0.949 0.751 0.919



! MgV4O10, optimized geometry, DFT GGA+U; values from VASP
! ΔE to the lowest computed polymorph in meV per atom: 31
&SYSTEM
  ibrav = 0, nat = 15, ntyp = 3
/
ATOMIC_SPECIES
Mg 24.30 Mg.upf
V 50.94 V.upf
O 16.00 O.upf
CELL_PARAMETERS angstrom
11.334 0.000 0.000
0.000 1.833 5.165
0.000 -1.833 5.165
ATOMIC_POSITIONS crystal
Mg 0.000 0.000 0.000
V 0.149 0.305 0.305
V 0.351 0.895 0.895
V 0.649 0.895 0.895
V 0.851 0.305 0.305
O 0.000 0.408 0.408
O 0.120 0.147 0.147
O 0.173 0.868 0.868
O 0.319 0.348 0.348
O 0.368 0.049 0.049
O 0.500 0.830 0.830
O 0.632 0.049 0.049
O 0.681 0.348 0.348
O 0.827 0.868 0.868
O 0.880 0.147 0.147



## SrCo2P2O8 (GGA+U)

Data for crystalline SrCo2P2O8 at its relaxed geometry. Values from VASP.

Structure (Quantum ESPRESSO input):
```
&SYSTEM
  ibrav = 0, nat = 26, ntyp = 4
/
ATOMIC_SPECIES
Sr 87.62 Sr.upf
Co 58.93 Co.upf
P 30.97 P.upf
O 16.00 O.upf
CELL_PARAMETERS angstrom
5.075 0.000 0.000
-0.450 8.729 0.000
-2.094 -3.931 8.307
ATOMIC_POSITIONS crystal
Sr 0.224 0.236 0.051
Sr 0.776 0.764 0.949
Co 0.153 0.411 0.698
Co 0.388 0.108 0.413
Co 0.612 0.892 0.587
Co 0.847 0.589 0.302
P 0.109 0.780 0.694
P 0.313 0.711 0.192
P 0.687 0.289 0.808
P 0.891 0.220 0.306
O 0.002 0.333 0.836
O 0.016 0.620 0.712
O 0.036 0.934 0.824
O 0.073 0.231 0.472
O 0.361 0.757 0.059
O 0.417 0.794 0.698
O 0.427 0.868 0.362
O 0.449 0.560 0.206
O 0.551 0.440 0.794
O 0.573 0.132 0.638
O 0.583 0.206 0.302
O 0.639 0.243 0.941
O 0.927 0.769 0.528
O 0.964 0.066 0.176
O 0.984 0.380 0.288
O 0.998 0.667 0.164
```



## CsRb2FeF6 (GGA+U)

Data for crystalline CsRb2FeF6 at its relaxed geometry. Values from VASP.

Structure (Quantum ESPRESSO input):
```
&SYSTEM
  ibrav = 0, nat = 10, ntyp = 4
/
ATOMIC_SPECIES
Cs 132.91 Cs.upf
Rb 85.47 Rb.upf
Fe 55.84 Fe.upf
F 19.00 F.upf
CELL_PARAMETERS angstrom
0.000 4.665 4.665
4.665 0.000 4.665
4.665 4.665 0.000
ATOMIC_POSITIONS crystal
Cs 0.000 0.000 0.000
Rb 0.250 0.250 0.250
Rb 0.750 0.750 0.750
Fe 0.500 0.500 0.500
F 0.297 0.297 0.703
F 0.297 0.703 0.297
F 0.297 0.703 0.703
F 0.703 0.297 0.297
F 0.703 0.297 0.703
F 0.703 0.703 0.297
```



! V3OF11, optimized geometry, DFT GGA+U; values from VASP
! ΔE to the lowest computed polymorph in meV per atom: 30
&SYSTEM
  ibrav = 0, nat = 30, ntyp = 3
/
ATOMIC_SPECIES
V 50.94 V.upf
O 16.00 O.upf
F 19.00 F.upf
CELL_PARAMETERS angstrom
5.270 0.000 0.000
-0.007 5.453 0.000
-0.007 -2.646 14.521
ATOMIC_POSITIONS crystal
V 0.000 0.000 0.000
V 0.003 0.658 0.336
V 0.008 0.322 0.667
V 0.483 0.529 0.004
V 0.498 0.156 0.328

## Here it is
1